### Wanted
The reader should find the line below that holds "117.40 90.00", then reproduce that line and all lines after it there.

### Source
- - -
# 1
Th2P11: optimized geometry, PBE-GGA.

abc: 17.423 10.161 19.295
angles: 90.00 117.40 90.00
Fractional positions:
1 Th 0.048 0.197 0.227
2 Th 0.048 0.303 0.727
3 Th 0.089 0.177 0.532
4 Th 0.089 0.323 0.032
5 Th 0.239 0.676 0.973
6 Th 0.239 0.824 0.473
7 Th 0.289 0.714 0.278
8 Th 0.289 0.786 0.778
9 Th 0.372 0.201 0.235
10 Th 0.372 0.299 0.735
11 Th 0.414 0.188 0.537
12 Th 0.414 0.312 0.037
13 Th 0.586 0.688 0.963
14 Th 0.586 0.812 0.463
15 Th 0.628 0.701 0.265
16 Th 0.628 0.799 0.765
17 Th 0.711 0.214 0.222
18 Th 0.711 0.286 0.722
19 Th 0.761 0.176 0.527
20 Th 0.761 0.324 0.027
21 Th 0.911 0.677 0.968
22 Th 0.911 0.823 0.468
23 Th 0.952 0.697 0.273
24 Th 0.952 0.803 0.773
25 P 0.007 0.607 0.435
26 P 0.007 0.893 0.935
27 P 0.025 0.603 0.601
28 P 0.025 0.897 0.101
29 P 0.032 0.107 0.366
30 P 0.032 0.393 0.866
31 P 0.044 0.597 0.726
32 P 0.044 0.903 0.226
33 P 0.047 0.604 0.896
34 P 0.047 0.896 0.396
35 P 0.096 0.618 0.022
36 P 0.096 0.882 0.522
37 P 0.112 0.605 0.208
38 P 0.112 0.895 0.708
39 P 0.143 0.617 0.335
40 P 0.143 0.883 0.835
41 P 0.149 0.098 0.699
42 P 0.149 0.402 0.199
43 P 0.149 0.603 0.510
44 P 0.149 0.897 0.010
45 P 0.166 0.095 0.868
46 P 0.166 0.405 0.368
47 P 0.166 0.595 0.634
48 P 0.166 0.905 0.134
49 P 0.182 0.102 0.993
50 P 0.182 0.398 0.493
51 P 0.185 0.118 0.163
52 P 0.185 0.382 0.663
53 P 0.185 0.583 0.806
54 P 0.185 0.917 0.306
55 P 0.229 0.117 0.292
56 P 0.229 0.383 0.792
57 P 0.233 0.116 0.480
58 P 0.233 0.384 0.980
59 P 0.284 0.102 0.607
60 P 0.284 0.398 0.107
61 P 0.290 0.079 0.779
62 P 0.290 0.421 0.279
63 P 0.302 0.608 0.139
64 P 0.302 0.892 0.639
65 P 0.307 0.102 0.901
66 P 0.307 0.398 0.401
67 P 0.322 0.104 0.071
68 P 0.322 0.396 0.571
69 P 0.340 0.609 0.437
70 P 0.340 0.891 0.937
71 P 0.357 0.606 0.600
72 P 0.357 0.894 0.100
73 P 0.380 0.593 0.725
74 P 0.380 0.907 0.225
75 P 0.399 0.598 0.908
76 P 0.399 0.902 0.408
77 P 0.424 0.608 0.031
78 P 0.424 0.892 0.531
79 P 0.431 0.109 0.396
80 P 0.431 0.391 0.896
81 P 0.446 0.601 0.212
82 P 0.446 0.899 0.712
83 P 0.474 0.611 0.338
84 P 0.474 0.889 0.838
85 P 0.478 0.104 0.700
86 P 0.478 0.396 0.200
87 P 0.483 0.604 0.508
88 P 0.483 0.896 0.008
89 P 0.499 0.600 0.631
90 P 0.499 0.900 0.131
91 P 0.501 0.100 0.869
92 P 0.501 0.400 0.369
93 P 0.517 0.104 0.992
94 P 0.517 0.396 0.492
95 P 0.522 0.604 0.800
96 P 0.522 0.896 0.300
97 P 0.526 0.111 0.162
98 P 0.526 0.389 0.662
99 P 0.554 0.101 0.288
100 P 0.554 0.399 0.788
101 P 0.569 0.609 0.104
102 P 0.569 0.891 0.604
103 P 0.576 0.108 0.469
104 P 0.576 0.392 0.969
105 P 0.601 0.098 0.592
106 P 0.601 0.402 0.092
107 P 0.620 0.093 0.775
108 P 0.620 0.407 0.275
109 P 0.643 0.106 0.900
110 P 0.643 0.394 0.400
111 P 0.660 0.109 0.063
112 P 0.660 0.391 0.563
113 P 0.678 0.604 0.429
114 P 0.678 0.896 0.929
115 P 0.693 0.602 0.599
116 P 0.693 0.898 0.099
117 P 0.698 0.108 0.361
118 P 0.698 0.392 0.861
119 P 0.710 0.579 0.721
120 P 0.710 0.921 0.221
121 P 0.716 0.602 0.893
122 P 0.716 0.898 0.393
123 P 0.767 0.616 0.020
124 P 0.767 0.884 0.520
125 P 0.771 0.617 0.208
126 P 0.771 0.883 0.708
127 P 0.815 0.083 0.694
128 P 0.815 0.417 0.194
129 P 0.815 0.618 0.337
130 P 0.815 0.882 0.837
131 P 0.818 0.602 0.507
132 P 0.818 0.898 0.007
133 P 0.834 0.095 0.866
134 P 0.834 0.405 0.366
135 P 0.834 0.595 0.632
136 P 0.834 0.905 0.132
137 P 0.851 0.103 0.990
138 P 0.851 0.397 0.490
139 P 0.851 0.598 0.801
140 P 0.851 0.902 0.301
141 P 0.857 0.117 0.165
142 P 0.857 0.383 0.665
143 P 0.888 0.105 0.292
144 P 0.888 0.395 0.792
145 P 0.904 0.118 0.478
146 P 0.904 0.382 0.978
147 P 0.953 0.104 0.604
148 P 0.953 0.396 0.104
149 P 0.956 0.097 0.774
150 P 0.956 0.403 0.274
151 P 0.968 0.607 0.134
152 P 0.968 0.893 0.634
153 P 0.975 0.103 0.899
154 P 0.975 0.397 0.399
155 P 0.993 0.107 0.065
156 P 0.993 0.393 0.565

Calculated values
Energy of formation in eV per atom: -0.488
Mass density in g cm⁻³: 5.29

***

# 2
HoSiNi4: optimized geometry, PBE-GGA.

abc: 5.047 8.151 3.947
angles: 90.00 90.00 90.00
Fractional positions:
- - -

### Here it is
angles: 90.00 117.40 90.00
Fractional positions:
1 Th 0.048 0.197 0.227
2 Th 0.048 0.303 0.727
3 Th 0.089 0.177 0.532
4 Th 0.089 0.323 0.032
5 Th 0.239 0.676 0.973
6 Th 0.239 0.824 0.473
7 Th 0.289 0.714 0.278
8 Th 0.289 0.786 0.778
9 Th 0.372 0.201 0.235
10 Th 0.372 0.299 0.735
11 Th 0.414 0.188 0.537
12 Th 0.414 0.312 0.037
13 Th 0.586 0.688 0.963
14 Th 0.586 0.812 0.463
15 Th 0.628 0.701 0.265
16 Th 0.628 0.799 0.765
17 Th 0.711 0.214 0.222
18 Th 0.711 0.286 0.722
19 Th 0.761 0.176 0.527
20 Th 0.761 0.324 0.027
21 Th 0.911 0.677 0.968
22 Th 0.911 0.823 0.468
23 Th 0.952 0.697 0.273
24 Th 0.952 0.803 0.773
25 P 0.007 0.607 0.435
26 P 0.007 0.893 0.935
27 P 0.025 0.603 0.601
28 P 0.025 0.897 0.101
29 P 0.032 0.107 0.366
30 P 0.032 0.393 0.866
31 P 0.044 0.597 0.726
32 P 0.044 0.903 0.226
33 P 0.047 0.604 0.896
34 P 0.047 0.896 0.396
35 P 0.096 0.618 0.022
36 P 0.096 0.882 0.522
37 P 0.112 0.605 0.208
38 P 0.112 0.895 0.708
39 P 0.143 0.617 0.335
40 P 0.143 0.883 0.835
41 P 0.149 0.098 0.699
42 P 0.149 0.402 0.199
43 P 0.149 0.603 0.510
44 P 0.149 0.897 0.010
45 P 0.166 0.095 0.868
46 P 0.166 0.405 0.368
47 P 0.166 0.595 0.634
48 P 0.166 0.905 0.134
49 P 0.182 0.102 0.993
50 P 0.182 0.398 0.493
51 P 0.185 0.118 0.163
52 P 0.185 0.382 0.663
53 P 0.185 0.583 0.806
54 P 0.185 0.917 0.306
55 P 0.229 0.117 0.292
56 P 0.229 0.383 0.792
57 P 0.233 0.116 0.480
58 P 0.233 0.384 0.980
59 P 0.284 0.102 0.607
60 P 0.284 0.398 0.107
61 P 0.290 0.079 0.779
62 P 0.290 0.421 0.279
63 P 0.302 0.608 0.139
64 P 0.302 0.892 0.639
65 P 0.307 0.102 0.901
66 P 0.307 0.398 0.401
67 P 0.322 0.104 0.071
68 P 0.322 0.396 0.571
69 P 0.340 0.609 0.437
70 P 0.340 0.891 0.937
71 P 0.357 0.606 0.600
72 P 0.357 0.894 0.100
73 P 0.380 0.593 0.725
74 P 0.380 0.907 0.225
75 P 0.399 0.598 0.908
76 P 0.399 0.902 0.408
77 P 0.424 0.608 0.031
78 P 0.424 0.892 0.531
79 P 0.431 0.109 0.396
80 P 0.431 0.391 0.896
81 P 0.446 0.601 0.212
82 P 0.446 0.899 0.712
83 P 0.474 0.611 0.338
84 P 0.474 0.889 0.838
85 P 0.478 0.104 0.700
86 P 0.478 0.396 0.200
87 P 0.483 0.604 0.508
88 P 0.483 0.896 0.008
89 P 0.499 0.600 0.631
90 P 0.499 0.900 0.131
91 P 0.501 0.100 0.869
92 P 0.501 0.400 0.369
93 P 0.517 0.104 0.992
94 P 0.517 0.396 0.492
95 P 0.522 0.604 0.800
96 P 0.522 0.896 0.300
97 P 0.526 0.111 0.162
98 P 0.526 0.389 0.662
99 P 0.554 0.101 0.288
100 P 0.554 0.399 0.788
101 P 0.569 0.609 0.104
102 P 0.569 0.891 0.604
103 P 0.576 0.108 0.469
104 P 0.576 0.392 0.969
105 P 0.601 0.098 0.592
106 P 0.601 0.402 0.092
107 P 0.620 0.093 0.775
108 P 0.620 0.407 0.275
109 P 0.643 0.106 0.900
110 P 0.643 0.394 0.400
111 P 0.660 0.109 0.063
112 P 0.660 0.391 0.563
113 P 0.678 0.604 0.429
114 P 0.678 0.896 0.929
115 P 0.693 0.602 0.599
116 P 0.693 0.898 0.099
117 P 0.698 0.108 0.361
118 P 0.698 0.392 0.861
119 P 0.710 0.579 0.721
120 P 0.710 0.921 0.221
121 P 0.716 0.602 0.893
122 P 0.716 0.898 0.393
123 P 0.767 0.616 0.020
124 P 0.767 0.884 0.520
125 P 0.771 0.617 0.208
126 P 0.771 0.883 0.708
127 P 0.815 0.083 0.694
128 P 0.815 0.417 0.194
129 P 0.815 0.618 0.337
130 P 0.815 0.882 0.837
131 P 0.818 0.602 0.507
132 P 0.818 0.898 0.007
133 P 0.834 0.095 0.866
134 P 0.834 0.405 0.366
135 P 0.834 0.595 0.632
136 P 0.834 0.905 0.132
137 P 0.851 0.103 0.990
138 P 0.851 0.397 0.490
139 P 0.851 0.598 0.801
140 P 0.851 0.902 0.301
141 P 0.857 0.117 0.165
142 P 0.857 0.383 0.665
143 P 0.888 0.105 0.292
144 P 0.888 0.395 0.792
145 P 0.904 0.118 0.478
146 P 0.904 0.382 0.978
147 P 0.953 0.104 0.604
148 P 0.953 0.396 0.104
149 P 0.956 0.097 0.774
150 P 0.956 0.403 0.274
151 P 0.968 0.607 0.134
152 P 0.968 0.893 0.634
153 P 0.975 0.103 0.899
154 P 0.975 0.397 0.399
155 P 0.993 0.107 0.065
156 P 0.993 0.393 0.565

Calculated values
Energy of formation in eV per atom: -0.488
Mass density in g cm⁻³: 5.29

***

# 2
HoSiNi4: optimized geometry, PBE-GGA.

abc: 5.047 8.151 3.947
angles: 90.00 90.00 90.00
Fractional positions: